[To do]
The reader should restate the lines below without additions.
[Given]
/*
(1)
Density functional theory data (ωB97M-V/def2-TZVPD) for the molecule C6H9BrO2.

Structure (ORCA input):
```
! RIJCOSX wB97M-V def2-TZVPD def2/J DEFGRID3
* xyz 0 1
C 0.73 -1.31 0.25
C -0.54 0.85 0.11
C -0.59 0.04 -1.15
C 1.11 0.15 0.68
C -1.95 -0.16 -1.82
C 1.45 0.24 2.16
O 1.22 -2.32 0.72
O -0.16 -1.30 -0.73
Br 2.53 0.68 -0.52
H -0.27 1.84 -0.04
H -1.29 0.69 0.76
H 0.10 0.33 -2.08
H -2.52 0.71 -2.08
H -2.49 -0.69 -1.11
H -1.79 -0.52 -2.75
H 1.63 1.20 2.51
H 2.33 -0.31 2.28
H 0.51 -0.11 2.79
*
```

Output
SMILES string: C[C@H]1C[C@](C)(Br)C(=O)O1
maximum force: 7.46 eV/A
frontier orbital gap: 10.3 eV
ΔE to the lowest compared entry with this formula, charge and spin: 94.2 kJ/mol
electronic energy: -2958.4561 Ha

Charges obtained by natural (NBO) population analysis, quoted in units of e:
1 C 0.74
2 C -0.38
3 C 0.08
4 C -0.15
5 C -0.62
6 C -0.63
7 O -0.57
8 O -0.50
9 Br 0.06
10 H 0.22
11 H 0.21
12 H 0.21
13 H 0.22
14 H 0.22
15 H 0.22
16 H 0.22
17 H 0.24
18 H 0.22


(2)
Density functional theory data (ωB97M-V/def2-TZVPD) for C19H20Cl3F2N3OS2Ti as an isolated structure.

Structure (ORCA input):
```
! RIJCOSX wB97M-V def2-TZVPD def2/J DEFGRID3
* xyz -2 1
Ti 0.43 -0.02 1.23
C -0.46 4.89 0.69
S -1.34 4.37 2.18
C -0.91 2.64 2.13
S 0.72 2.15 2.49
N -1.87 1.82 1.86
N -1.45 0.52 1.77
C -2.42 -0.42 1.98
C -1.94 -1.69 2.05
C -2.70 -2.88 2.29
C -2.10 -4.08 2.41
C -0.67 -4.15 2.28
C 0.02 -3.01 2.01
N -0.54 -1.77 1.88
H -0.52 5.98 0.63
H 0.58 4.59 0.76
H -0.91 4.45 -0.19
H -3.45 -0.13 2.14
H -3.78 -2.78 2.38
H -2.68 -4.98 2.60
H -0.14 -5.09 2.38
H 1.09 -3.04 1.89
Cl 0.77 4.23 -5.34
C 0.63 3.34 -3.83
C 1.77 3.06 -3.10
C 1.66 2.36 -1.91
Cl 3.09 2.05 -0.98
C 0.42 1.89 -1.40
O 0.33 1.25 -0.31
C -0.70 2.24 -2.19
Cl -2.27 1.78 -1.61
C -0.61 2.94 -3.38
H 2.75 3.39 -3.44
H -1.50 3.17 -3.94
F 3.28 0.28 2.04
C 2.18 -0.43 2.55
F 2.68 -1.75 2.66
H 2.09 -0.10 3.59
C 1.32 -2.96 -2.18
C 0.51 -2.26 -1.09
C -0.66 -1.50 -1.72
C 1.39 -1.36 -0.21
H 0.70 -3.64 -2.77
H 2.14 -3.53 -1.74
H 1.75 -2.22 -2.86
H 0.08 -3.04 -0.45
H -0.29 -0.69 -2.36
H -1.30 -1.05 -0.96
H -1.28 -2.16 -2.33
H 1.96 -0.67 -0.86
H 2.14 -1.98 0.29
*
```

Output
maximum force: 0.20 eV/A
frontier orbital gap: 4.2 eV
ΔE to the lowest compared entry with this formula, charge and spin: 85.2 kJ/mol
electronic energy: -4201.7510 Ha

Charges obtained by natural (NBO) population analysis, quoted in units of e:
1 Ti 1.58
2 C -0.74
3 S 0.17
4 C -0.13
5 S -0.25
6 N -0.31
7 N -0.52
8 C -0.12
9 C 0.05
10 C -0.23
11 C -0.25
12 C -0.39
13 C 0.07
14 N -0.67
15 H 0.20
16 H 0.23
17 H 0.21
18 H 0.19
19 H 0.19
20 H 0.18
21 H 0.19
22 H 0.22
23 Cl -0.07
24 C -0.07
25 C -0.26
26 C -0.12
27 Cl 0.03
28 C 0.41
29 O -0.77
30 C -0.11
31 Cl 0.02
32 C -0.26
33 H 0.22
34 H 0.22
35 F -0.40
36 C 0.15
37 F -0.41
38 H 0.11
39 C -0.60
40 C -0.23
41 C -0.59
42 C -0.87
43 H 0.18
44 H 0.19
45 H 0.19
46 H 0.20
47 H 0.19
48 H 0.22
49 H 0.18
50 H 0.18
51 H 0.20


(3)
Density functional theory data (ωB97M-V/def2-TZVPD) for an isolated ion of composition C3H5N4 and charge +1.

Structure (ORCA input):
```
! RIJCOSX wB97M-V def2-TZVPD def2/J DEFGRID3
* xyz 1 1
C -0.18 0.74 -1.29
C -0.52 -0.99 1.88
C 0.62 1.33 -2.37
N -0.95 0.19 -0.60
N -1.49 -0.85 1.17
*/
[Result]
(1)
Density functional theory data (ωB97M-V/def2-TZVPD) for the molecule C6H9BrO2.

Structure (ORCA input):
```
! RIJCOSX wB97M-V def2-TZVPD def2/J DEFGRID3
* xyz 0 1
C 0.73 -1.31 0.25
C -0.54 0.85 0.11
C -0.59 0.04 -1.15
C 1.11 0.15 0.68
C -1.95 -0.16 -1.82
C 1.45 0.24 2.16
O 1.22 -2.32 0.72
O -0.16 -1.30 -0.73
Br 2.53 0.68 -0.52
H -0.27 1.84 -0.04
H -1.29 0.69 0.76
H 0.10 0.33 -2.08
H -2.52 0.71 -2.08
H -2.49 -0.69 -1.11
H -1.79 -0.52 -2.75
H 1.63 1.20 2.51
H 2.33 -0.31 2.28
H 0.51 -0.11 2.79
*
```

Output
SMILES string: C[C@H]1C[C@](C)(Br)C(=O)O1
maximum force: 7.46 eV/A
frontier orbital gap: 10.3 eV
ΔE to the lowest compared entry with this formula, charge and spin: 94.2 kJ/mol
electronic energy: -2958.4561 Ha

Charges obtained by natural (NBO) population analysis, quoted in units of e:
1 C 0.74
2 C -0.38
3 C 0.08
4 C -0.15
5 C -0.62
6 C -0.63
7 O -0.57
8 O -0.50
9 Br 0.06
10 H 0.22
11 H 0.21
12 H 0.21
13 H 0.22
14 H 0.22
15 H 0.22
16 H 0.22
17 H 0.24
18 H 0.22


(2)
Density functional theory data (ωB97M-V/def2-TZVPD) for C19H20Cl3F2N3OS2Ti as an isolated structure.

Structure (ORCA input):
```
! RIJCOSX wB97M-V def2-TZVPD def2/J DEFGRID3
* xyz -2 1
Ti 0.43 -0.02 1.23
C -0.46 4.89 0.69
S -1.34 4.37 2.18
C -0.91 2.64 2.13
S 0.72 2.15 2.49
N -1.87 1.82 1.86
N -1.45 0.52 1.77
C -2.42 -0.42 1.98
C -1.94 -1.69 2.05
C -2.70 -2.88 2.29
C -2.10 -4.08 2.41
C -0.67 -4.15 2.28
C 0.02 -3.01 2.01
N -0.54 -1.77 1.88
H -0.52 5.98 0.63
H 0.58 4.59 0.76
H -0.91 4.45 -0.19
H -3.45 -0.13 2.14
H -3.78 -2.78 2.38
H -2.68 -4.98 2.60
H -0.14 -5.09 2.38
H 1.09 -3.04 1.89
Cl 0.77 4.23 -5.34
C 0.63 3.34 -3.83
C 1.77 3.06 -3.10
C 1.66 2.36 -1.91
Cl 3.09 2.05 -0.98
C 0.42 1.89 -1.40
O 0.33 1.25 -0.31
C -0.70 2.24 -2.19
Cl -2.27 1.78 -1.61
C -0.61 2.94 -3.38
H 2.75 3.39 -3.44
H -1.50 3.17 -3.94
F 3.28 0.28 2.04
C 2.18 -0.43 2.55
F 2.68 -1.75 2.66
H 2.09 -0.10 3.59
C 1.32 -2.96 -2.18
C 0.51 -2.26 -1.09
C -0.66 -1.50 -1.72
C 1.39 -1.36 -0.21
H 0.70 -3.64 -2.77
H 2.14 -3.53 -1.74
H 1.75 -2.22 -2.86
H 0.08 -3.04 -0.45
H -0.29 -0.69 -2.36
H -1.30 -1.05 -0.96
H -1.28 -2.16 -2.33
H 1.96 -0.67 -0.86
H 2.14 -1.98 0.29
*
```

Output
maximum force: 0.20 eV/A
frontier orbital gap: 4.2 eV
ΔE to the lowest compared entry with this formula, charge and spin: 85.2 kJ/mol
electronic energy: -4201.7510 Ha

Charges obtained by natural (NBO) population analysis, quoted in units of e:
1 Ti 1.58
2 C -0.74
3 S 0.17
4 C -0.13
5 S -0.25
6 N -0.31
7 N -0.52
8 C -0.12
9 C 0.05
10 C -0.23
11 C -0.25
12 C -0.39
13 C 0.07
14 N -0.67
15 H 0.20
16 H 0.23
17 H 0.21
18 H 0.19
19 H 0.19
20 H 0.18
21 H 0.19
22 H 0.22
23 Cl -0.07
24 C -0.07
25 C -0.26
26 C -0.12
27 Cl 0.03
28 C 0.41
29 O -0.77
30 C -0.11
31 Cl 0.02
32 C -0.26
33 H 0.22
34 H 0.22
35 F -0.40
36 C 0.15
37 F -0.41
38 H 0.11
39 C -0.60
40 C -0.23
41 C -0.59
42 C -0.87
43 H 0.18
44 H 0.19
45 H 0.19
46 H 0.20
47 H 0.19
48 H 0.22
49 H 0.18
50 H 0.18
51 H 0.20


(3)
Density functional theory data (ωB97M-V/def2-TZVPD) for an isolated ion of composition C3H5N4 and charge +1.

Structure (ORCA input):
```
! RIJCOSX wB97M-V def2-TZVPD def2/J DEFGRID3
* xyz 1 1
C -0.18 0.74 -1.29
C -0.52 -0.99 1.88
C 0.62 1.33 -2.37
N -0.95 0.19 -0.60
N -1.49 -0.85 1.17